Activity
The reader should reproduce all of the data further down without additions.

Given
____________
No. 1
ORCA calculation (ωB97M-V/def2-TZVPD) on a single C5H6N2O molecule in a non-equilibrium geometry.

CARTESIAN COORDINATES (ANGSTROEM)
C  -0.95141  0.27653  1.60791
C  -0.54030  0.66274  0.37221
C  -1.04053  1.87669  -0.24927
N  -1.56533  2.82988  -0.60883
N  0.30217  -0.14979  -0.39782
C  0.90023  -1.32043  0.22952
C  0.58697  0.09667  -1.72922
O  0.27914  1.09673  -2.30708
H  -1.65421  0.87281  2.14354
H  -0.68003  -0.74321  2.02922
H  1.55665  -0.92428  1.05568
H  0.11926  -2.00588  0.61669
H  1.45880  -1.86967  -0.50044
H  1.22861  -0.69879  -2.26211

Calculated values
- frontier orbital gap (eV) = 9.761
- energy relative to the best compared isomer or geometry (same formula, charge and spin) (eV) = 1.065
- multiplicity = 1
- LUMO level (Eh) = 0.012
- SMILES = C=C(C#N)N(C)C=O

=====

No. 2
ORCA calculation (ωB97M-V/def2-TZVPD) on a molecular structure, C55H54N6O5PPdS3Se in a non-equilibrium geometry.

CARTESIAN COORDINATES (ANGSTROEM)
Pd  0.08560  -0.09210  0.05480
N  1.99960  0.15980  -0.06310
S  3.38010  0.58700  -0.24860
N  3.63250  2.16470  -0.64940
S  2.81790  2.78590  -1.84190
N  1.42920  3.43310  -1.56060
S  0.46050  3.17190  -0.26570
N  -0.17620  1.87110  -0.00850
C  1.39320  3.93750  1.06920
C  2.10390  5.08830  0.78460
C  2.73580  5.75550  1.81800
C  2.65810  5.25870  3.11140
C  1.94910  4.09750  3.37750
C  1.30020  3.43200  2.34930
C  -0.82920  4.38970  -0.52390
C  -1.90130  4.31610  0.35170
C  -2.92520  5.24060  0.24850
C  -2.86480  6.22160  -0.72900
C  -1.79660  6.27220  -1.61120
C  -0.76570  5.35220  -1.51210
C  2.53860  1.55210  -3.11000
C  1.30540  0.91720  -3.15260
C  1.08070  -0.03710  -4.13000
C  2.07430  -0.33210  -5.05190
C  3.29790  0.32220  -5.00540
C  3.53930  1.27080  -4.02860
C  3.88130  4.07610  -2.43270
C  5.24520  4.00330  -2.14480
C  6.09590  4.97150  -2.63330
C  5.59900  6.01100  -3.41250
C  4.23710  6.08320  -3.68820
C  3.37340  5.12050  -3.20740
C  4.26920  -0.42570  -1.45280
C  3.60850  -1.48660  -2.04390
C  4.32120  -2.35180  -2.85660
C  5.67640  -2.14480  -3.06500
C  6.32410  -1.06680  -2.47970
C  5.61770  -0.20040  -1.66260
C  4.46530  0.33240  1.16260
C  5.25490  1.31260  1.72650
C  6.10070  0.96840  2.77160
C  6.16040  -0.34310  3.21590
C  5.36240  -1.31830  2.63590
C  4.50030  -0.97790  1.61080
H  2.14580  5.44920  -0.23150
H  3.27840  6.66620  1.61620
H  3.14660  5.78590  3.91650
H  1.89390  3.71470  4.38540
H  0.71430  2.54140  2.51130
H  -1.90890  3.53660  1.09580
H  -3.76310  5.19540  0.92670
H  -3.65870  6.94780  -0.80560
H  -1.76310  7.02930  -2.37870
H  0.07530  5.36360  -2.18670
H  0.52900  1.16420  -2.43200
H  0.13600  -0.55510  -4.14770
H  1.89390  -1.07150  -5.81590
H  4.06360  0.09770  -5.73120
H  4.48540  1.78880  -3.97370
H  5.59840  3.19530  -1.52510
H  7.14970  4.92030  -2.40740
H  6.26880  6.76130  -3.80000
H  3.85340  6.89610  -4.28450
H  2.31520  5.15610  -3.41150
H  2.55340  -1.61910  -1.85210
H  3.82130  -3.19030  -3.31590
H  6.23540  -2.83550  -3.67770
H  7.37840  -0.90960  -2.64960
H  6.09890  0.63590  -1.17850
H  5.19850  2.31950  1.34290
H  6.71130  1.72310  3.23980
H  6.82770  -0.61040  4.02200
H  5.42110  -2.34200  2.96890
H  3.84550  -1.70100  1.15160
Se  -2.68750  1.14240  -0.76440
N  -1.85670  -0.24900  0.04770
C  -2.77030  -1.20220  0.33750
C  -2.52810  -2.44020  0.93490
C  -3.58010  -3.31930  1.11930
C  -4.88110  -2.97540  0.76050
C  -5.15870  -1.75080  0.19260
C  -4.11220  -0.84740  -0.04190
N  -4.26630  0.35300  -0.61360
H  -1.52580  -2.71220  1.22030
H  -3.38420  -4.29130  1.54730
H  -5.67860  -3.68490  0.92030
H  -6.15740  -1.47240  -0.10060
C  -0.43790  -2.07940  6.48250
C  -1.07370  -1.93520  5.10650
O  -0.59370  -0.74620  4.49450
P  -0.37490  -0.59820  2.86470
O  1.21800  -0.30040  2.78130
C  1.89940  0.46170  3.77610
C  2.61870  -0.43190  4.77590
O  -0.85630  0.98180  2.79660
C  -2.17030  1.36680  3.17960
C  -2.10530  2.58560  4.09110
H  -0.92400  -2.87760  7.03670
H  -0.55110  -1.15020  7.03520
H  0.62200  -2.30740  6.39890
____________

Solution
No. 1
ORCA calculation (ωB97M-V/def2-TZVPD) on a single C5H6N2O molecule in a non-equilibrium geometry.

CARTESIAN COORDINATES (ANGSTROEM)
C  -0.95141  0.27653  1.60791
C  -0.54030  0.66274  0.37221
C  -1.04053  1.87669  -0.24927
N  -1.56533  2.82988  -0.60883
N  0.30217  -0.14979  -0.39782
C  0.90023  -1.32043  0.22952
C  0.58697  0.09667  -1.72922
O  0.27914  1.09673  -2.30708
H  -1.65421  0.87281  2.14354
H  -0.68003  -0.74321  2.02922
H  1.55665  -0.92428  1.05568
H  0.11926  -2.00588  0.61669
H  1.45880  -1.86967  -0.50044
H  1.22861  -0.69879  -2.26211

Calculated values
- frontier orbital gap (eV) = 9.761
- energy relative to the best compared isomer or geometry (same formula, charge and spin) (eV) = 1.065
- multiplicity = 1
- LUMO level (Eh) = 0.012
- SMILES = C=C(C#N)N(C)C=O

=====

No. 2
ORCA calculation (ωB97M-V/def2-TZVPD) on a molecular structure, C55H54N6O5PPdS3Se in a non-equilibrium geometry.

CARTESIAN COORDINATES (ANGSTROEM)
Pd  0.08560  -0.09210  0.05480
N  1.99960  0.15980  -0.06310
S  3.38010  0.58700  -0.24860
N  3.63250  2.16470  -0.64940
S  2.81790  2.78590  -1.84190
N  1.42920  3.43310  -1.56060
S  0.46050  3.17190  -0.26570
N  -0.17620  1.87110  -0.00850
C  1.39320  3.93750  1.06920
C  2.10390  5.08830  0.78460
C  2.73580  5.75550  1.81800
C  2.65810  5.25870  3.11140
C  1.94910  4.09750  3.37750
C  1.30020  3.43200  2.34930
C  -0.82920  4.38970  -0.52390
C  -1.90130  4.31610  0.35170
C  -2.92520  5.24060  0.24850
C  -2.86480  6.22160  -0.72900
C  -1.79660  6.27220  -1.61120
C  -0.76570  5.35220  -1.51210
C  2.53860  1.55210  -3.11000
C  1.30540  0.91720  -3.15260
C  1.08070  -0.03710  -4.13000
C  2.07430  -0.33210  -5.05190
C  3.29790  0.32220  -5.00540
C  3.53930  1.27080  -4.02860
C  3.88130  4.07610  -2.43270
C  5.24520  4.00330  -2.14480
C  6.09590  4.97150  -2.63330
C  5.59900  6.01100  -3.41250
C  4.23710  6.08320  -3.68820
C  3.37340  5.12050  -3.20740
C  4.26920  -0.42570  -1.45280
C  3.60850  -1.48660  -2.04390
C  4.32120  -2.35180  -2.85660
C  5.67640  -2.14480  -3.06500
C  6.32410  -1.06680  -2.47970
C  5.61770  -0.20040  -1.66260
C  4.46530  0.33240  1.16260
C  5.25490  1.31260  1.72650
C  6.10070  0.96840  2.77160
C  6.16040  -0.34310  3.21590
C  5.36240  -1.31830  2.63590
C  4.50030  -0.97790  1.61080
H  2.14580  5.44920  -0.23150
H  3.27840  6.66620  1.61620
H  3.14660  5.78590  3.91650
H  1.89390  3.71470  4.38540
H  0.71430  2.54140  2.51130
H  -1.90890  3.53660  1.09580
H  -3.76310  5.19540  0.92670
H  -3.65870  6.94780  -0.80560
H  -1.76310  7.02930  -2.37870
H  0.07530  5.36360  -2.18670
H  0.52900  1.16420  -2.43200
H  0.13600  -0.55510  -4.14770
H  1.89390  -1.07150  -5.81590
H  4.06360  0.09770  -5.73120
H  4.48540  1.78880  -3.97370
H  5.59840  3.19530  -1.52510
H  7.14970  4.92030  -2.40740
H  6.26880  6.76130  -3.80000
H  3.85340  6.89610  -4.28450
H  2.31520  5.15610  -3.41150
H  2.55340  -1.61910  -1.85210
H  3.82130  -3.19030  -3.31590
H  6.23540  -2.83550  -3.67770
H  7.37840  -0.90960  -2.64960
H  6.09890  0.63590  -1.17850
H  5.19850  2.31950  1.34290
H  6.71130  1.72310  3.23980
H  6.82770  -0.61040  4.02200
H  5.42110  -2.34200  2.96890
H  3.84550  -1.70100  1.15160
Se  -2.68750  1.14240  -0.76440
N  -1.85670  -0.24900  0.04770
C  -2.77030  -1.20220  0.33750
C  -2.52810  -2.44020  0.93490
C  -3.58010  -3.31930  1.11930
C  -4.88110  -2.97540  0.76050
C  -5.15870  -1.75080  0.19260
C  -4.11220  -0.84740  -0.04190
N  -4.26630  0.35300  -0.61360
H  -1.52580  -2.71220  1.22030
H  -3.38420  -4.29130  1.54730
H  -5.67860  -3.68490  0.92030
H  -6.15740  -1.47240  -0.10060
C  -0.43790  -2.07940  6.48250
C  -1.07370  -1.93520  5.10650
O  -0.59370  -0.74620  4.49450
P  -0.37490  -0.59820  2.86470
O  1.21800  -0.30040  2.78130
C  1.89940  0.46170  3.77610
C  2.61870  -0.43190  4.77590
O  -0.85630  0.98180  2.79660
C  -2.17030  1.36680  3.17960
C  -2.10530  2.58560  4.09110
H  -0.92400  -2.87760  7.03670
H  -0.55110  -1.15020  7.03520
H  0.62200  -2.30740  6.39890